Spring Ahead

Ever have one of those weeks?

Over scheduled. Too busy to just sit and ‘be’? No time to just get out and ride? So you schedule a ride day for yourself. You feel just a twinge of guilt as you dodge some commitments.

You need this, though.

To stay sane. To be able to keep on keepin’ on. The anticipation of the day keeps you motivated to get through the week. Will the rain let up? Does it matter? Nothing will keep you from the trails. It has been too long. This ride really isn’t for anyone, but you. No responsibility. Just ride. Be free.

The Huckwagon is loaded and has several stops to make as it heads north. It is like a bus tour…pick up riders, buy icy beverages for the top of the climb, a quick swing by Skagit Cycle for a new pump…gas…and finally we are at the Galby lot. It is mostly empty, but the sun is coming out!

We head up to the towers. Amazed at the logging activity. It really has been too long! We climb, we break. We catch up on the latest with our friends. Did I say it had been too long?!

At the top comes the surprise

Homemade barbeque pork sandwiches and icy Sierra Nevada. We are all hungry and feast on this treat (thanks Gary!) And then, we fly!

It is spring! No one wants the day to end. The extra hour of daylight is a gift and we are kids again! Our ride becomes epic.

And, as daylight finally wanes, we roll into the parking lot. Muddy. Tired. Satisfied. We are the last two cars.We are renewed.

Look Mom, No Feet!

Alive and well and feeling like a kid again!

The snow is refreshing after a week of being sick and low energy.Ride? Hellz yeah! Even if just a short one before the inevitable rain or coughing attack! (weather update: it is still snowing 3 hours later).

Our local trails are closed for the season, but we find some gorgeous gravel roads through the woods. We are the only ones out on this snowy Saturday. Dump run? Breakfast out? We forego chores andEllie’s Restaurant’s deliciousness for perhaps too many cups of strong home brewed espresso and a skillet of cheesy potato egg hash, and a ride.


“Let’s go!” And, so we do.

Woodland creatures in street clothes and base layers. Riding from our back yard in tree farm paradise. Accused of thinking people should be able to be happy doing what they are doing, we are guilty as charged! Certainly there are worse things to be accused of.

It was succinctly described at a planning meeting last week by Recreation Northwest“We promote fun!” I love that! “Dirty little fun havers”?! (Failure to Launch) So be it! In fact, we don’t just think people should be happy, we at Huckwagons KNOW it!

Asked if we are living our passion? Certainly that is our plan. Hanging out with like-minded people, sharing beverages at local establishments, exchanging information about trails and rides, creating possibilities for new riders and outdoors men and women – that is where the excitement begins and resonates within us.

The fun doesn’t have to wait until the trailhead.

It starts at the communal meal or over a cold pitcher and continues throughout the rides – in the shuttle rig AND on the trail.

The snow continues to fall in Stanwood and we warm ourselves by the fire, planning future adventures. Join us! Your Huckwagon mountain bike transport-trailer will get you where you want to go!

Snow DAY!


Remember your excitement as a kid when you saw the first few snowflakes of winter sprinkling from the heavens like powdered sugar?

The anticipation of a snow day, hot cocoa with marshmallows, sledding and playing in the snow was almost too much. You would run and look outside the window, squinting into the streetlights, wondering if there would be enough to cancel school or at least get a late start.

And then, you wake up to a wonderland of brightness.

The earth blanketed in pristine white.

Silence except for the fluffs still dancing as they pirouette to earth.

Maybe I haven’t grown up yet. I still feel this childlike sense of wonderment and glee at the possibility of snow. I love the beauty of the untouched yard, watching the cats try to step around the edges unsuccessfully, and the illusion of endless time in the quiet of the morning.

Extra cups of coffee, snuggling by the fire, curled up with a book or two, and just being.

I love it! What more could I possibly ask for?

A BIKE ride! Oh, how I love to ride my bike in the snow. I feel giddy, light-hearted, and I laugh and laugh. Balance, pedaling, braking. Braking?! All bets are off as to what to expect on the trail.

It is pure joy!

Artistically painted tire tracks, the sound as our wheels crunch down the trail…really, what more could one ask for? And stories…

…so many stories.

One year it seemed like we rode in snow or ice each time we went to Galbraith, and there were a lot of times! Another winter our shuttle rig was full as we headed up to brave the cold and weather at the top of Double D. We got part way up and the gate was closed.

SNOW! “Why wouldn’t we?!”

was the consensus as we layered up and started hiking up the hill with our downhill rigs. The snow just got deeper, but the laughter and exhilaration of the moment was contagious. Slipping and sliding our way down the steep rooty sections was made even more interesting with the trail covered in cold white stuff.

Then, just like that, it was gone. And, while the lower trails were clear, the memories lingered and the experience lives on in our souls.

Snow! There are fat tired bikes, snow tires and chains for bikes, and then there are just our regular old daily rides. What’s tomorrow’s forecast? I look expectantly at the sky and sigh.

I just can’t wait to get back on my bike in the SNOW, but I guess I will have to, for now!


Makin’ Our Dreams Come True!

Go, Fight, Win!

Still Homecoming and the air is alive with excitement. Royalty, dress up days, class competitions, the parade, game, and of course, who to take to the dance! It is hard enough to focus in class, let alone on the nightly homework assigned.

Remember when life revolved around high school? The glory days? The anticipation and hype? And then the “let down” when it was finally over – until next year? In some ways it was almost a relief – especially for teachers and administrators – and of course the few dedicated individuals who worked so hard behind the scenes to make each day a memorable success.

So much thought, planning, time…to dress up or not to dress up? What if no one else does? What if I dress up for the wrong day? That would be almost as bad as going to class naked…

Today it is Favorite Team Jersey Day. I rack my brain…my son needs his tennis jersey for a match and the Sonics don’t play here anymore…so, deviating from the norm of Seahawks paraphernalia and high school football jerseys, I select from my Crankworx SWAG – Sodestrom, Martin.

An exceptional athlete.

We watched with mounting cheers and excitement as he rode what seemed like the perfect final run at Slopestyle. Would he place 1st or 2nd? He and Semenuk were both riding flawlessly. Each trick dialed to perfection.

And then, just like that, silence!

Tens of thousands were stunned speechless. His body lay crumpled, lifeless, at the bottom of his final trick.

Passion. Life’s blood. When someone is passionate about something – a job, a sport, an activity, a lover – it shows. It emanates from one’s being and is not only captivating, but contagious to those lucky enough to witness it.

When Sodestrom was down, our hearts went out to him, some were shaken to the very core, but when he was flying – and he will again, we could feel his joy and skill and passion. It was electrifying! Can you imagine being able to live your passion?!

How many times have you been told to be practical? Or to “be careful” so you don’t get hurt? How many times have you NOT done something so you can stay “safe”? People get hurt falling off a curb and people who religiously pay their bills still may lose their house to foreclosure. Is it worth the personal cost of not following your dreams just in case something bad MIGHT happen?

Henry Ford once said, “if you think you can or you think you can’t, you are right.”

Certainly if you don’t try something, you can’t fail, but you can’t succeed either. Sure, if Martin (Soderstrom) had “heard the word impossible” and decided to play it safe, he could be home playing video games instead of healing from a broken leg.

But what is more satisfying?

If we were being “responsible” we would only talk about cool trailer and bike rack designs. But instead, we are going to “(do) it our way, yes our way…(and) make our dreams come true” (thanks Laverne and Shirley!) by pursuing our dream and creating Huckwagons.

Our love of biking, the relationships we have made over the years, the joy we find on the trail, are all reasons we started this venture with Huckwagons. Whether it be creating a new mountain bike rack or trailer design, customizing an order, or simply loading up bikes for a road trip and unloading them at the trail, we are following our passion and hope to share even just a little bit with you.

Start living your passion and check out Huckwagons today! We can help you get you and your bike there – scratch free and ready to RIDE!

“(cuz) we are doin’ our way, yes our way,
Make(in) all our dreams come true
For me and you.”

To Huck With Those Stilettos!


Yup, it’s Homecoming week and the stereotype of the male CEO and sexy secretary are alive and well at our local high school. Micro-minis and spike heels click down the school hallway while boys gawk.

I ponder this and shake my head in disbelief as I watch a microcosm of society playing out before me.

Haven’t we progressed forward? at all?

Is this why women are still hitting their heads on the glass ceiling? Or is this still the “look” even in today’s work place? Albeit not all the students are dressed this way, but there are definitely enough to scare me into a reality check.

The assumption that CEOs are men and wear a suit and tie is old school.

As CEO of Huckwagons AND as a woman, I decided to dispel the myth that one must be stuffed shirt male.Hot pink Huckwagons T, power skirt, and boots are my attire on this dress up day. And, speaking of “attire”, the tire belt completing the ensemble was quite a hit!

Will it make a difference with these kids? Probably not, but it helps me quell my own anxiety. Being put back in the box, trapped under a ceiling – only able to look at the sky and not reach for it – is no way to live life. Being outside, on the trails, inhaling the fresh cedar canopy swaying in the wind IS the way – for me – to be me.

So, to huck with those stilettos! (510s are way more comfortable anyway.)

Loosen that tie! (You might choke while bombing down your favorite trail.)

Get muddy, take risks, and wear neon if you must, but get out of the confines of your safe and secure world.

It is all about the journey, isn’t it? So keep exploring. Keep looking for those new lines and finessing the old ones. Load those bikes on your Huckwagon and head for the hills.

We DARE you!

Just get outside and RIDE!


These People Are GOOD People


“These people are GOOD people!” I commented to a friend just arriving at our latest shindig.

“THEY are why we ride!”

It isn’t just about the trail, or the tail gating, or the adventures that await when we head towards the trail or drop in, it is the relationships that go beyond. The family, the camaraderie, the care we give each other. The laughs, the tears, the hugs, the trail maintenance, the tech support, the spare tubes, the chain lube, the shot blocks, the shots, the advice, the ear, the silence…all these things are why we do it!

These people go beyond acquaintance status. They are family. We hold each other up when family members are struggling with health issues, we hold each other when we experience loss – or just share a cold beer at our home away from home in quiet understanding when things are tough.

These people are the ones who will dance party in the living room, share stories around the campfire and look at the stars, or meet even just a short loop after work before the days get too short.

These people are GOOD people. NO, they are GREAT!

As Sista Sledge sang, “We are family!” They are why we keep on keepin’ on.



Letting Go


When I first started riding a bike I felt like the world opened up before me. Endless possibilities were now becoming realities. All areas of my life were affected.

Physically I was becoming more “fit” than ever, my relationships were healthy, fun loving, supporting and adventurous, Gary and I opened up our shuttle van and home to countless biking friends – more like family – and I learned how to “let go”.

Letting go on the trail enough to trust the bike to get me through a technical section, letting go of the stresses of the day while pedaling to the top of the ridge, ready to fly down it tension free, letting go of responsibilities like ‘doing the laundry’ to get outside and play, letting go enough to laugh with wild abandon at the crazy adventures we were sharing with like- minded people.

Biking became my therapy.

┌──
Material: YCoGeH
Method: DFT, PBE-GGA
State: relaxed

Geometry as extended XYZ:
```
8
Lattice="-1.111 -0.030 3.745 1.391 -3.630 0.384 6.570 2.725 1.971" Properties=species:S:1:pos:R:3 pbc="T T T"
Y 3.799 1.792 3.179
Y 2.910 -0.897 0.857
Co 0.140 -1.830 2.065
Co 0.000 0.000 0.000
Ge 6.107 0.430 1.816
Ge 0.602 0.465 2.220
H 3.285 1.363 0.986
H 3.424 -0.467 3.050
```

Calculated values
Space group: No. 129
Final energy: -48.54 eV/cell
Total magnetization: 0.000 μB per cell
└──

It is an integral part of the formula which makes up a happy and healthy life. The importance of sharing this with others has become a predominant theme. Maybe a little much at times, I want people to find the love that I have found ever since Gary invited me to ride bikes with him 7 years ago. Seven is a magic number. This summer marks my 7th anniversary of getting back on the bike.

When I first started riding a bike, I felt the world open up before me.

Endless possibilities await! Now, we dress out of the laundry basket more often than out of the dresser as we are running out the door with bikes and gear ready to drop in on the next adventure that awaits us.

August may be drawing to a close, but Fall rides await!


Cheers to the Memories

As I was working on the photo selection for this website, I scrolled through countless of what we call, “archive photos.” Some of those pictures never make the traditional post ride Facebook posting – you know the saying, “what happens at Whistler, stays at Whistler,” but many do make the cut, and all bring back fond memories and humorous quotes. The difficulty is selecting which picture(s) to use. I didn’t even scratch the surface on this preliminary go around, but I did have a lot of chuckles, and even a few tears, as I kept smiling and saying aloud, “Oh, I remember this! This is when…” and “Aaah, that was the trip that….”

This process has reaffirmed my belief in our mission to spread the joy of the great outdoors by sharing our love of mountain biking with you. It is not just about the ride – although that is a huge part of it – but it is about the experiences you share. A photo can trigger a memory of the people you were with – but even more is held in that snapshot of the day. It’s all inclusive of the random riders you meet at the trailhead while gearing up or dropping in (some of who will become good friends and others the faces you will see again and again on various rides), the parking lot before and after the ride sharing a beer or comparing blood, the encouragement you hear from other bikers, the sayings that develop as a result of the ride like, “It’s not a ride ‘til there’s blood.” And the countless quotes that will live on in infamy, “That was the best hike I ever took my bike on,” “Look, another ROCK!”, and “Sure, we can squeeze in one more!”

The hero dirt we worship, the support we give one another along with the sh** we dish out, the good natured camaraderie, the night rides while Whidbey practices “touch and go’s,” the like-minded people who appreciate and anticipate a good ride, a new drop, conquering a technical section…. The moments when you all crowd back in the van comparing stories, the smell of your own sweat now out-smelling that of the dogs, PRBs, the common flask, heading to Casa Que Pasa or Porterhouse, just one more trip up to A-dog – (What? What margaritas?).

We are truly blessed, and while our group is ever evolving, the core is still there riding strong as family. Inviting in new riders and welcoming returning compadres. No one likes to miss a ride, and sometimes life just gets in the way, but hearing the stories of others inspires and intrigues, and gets us excited for the next ride, the new trail, the epic adventure. It gives us reason to carry on.

Here in the Northwest we are spoiled. We have good people, a variety of trails for all riders, glorious vistas and more memories than I can count. Cheers to many more to come! We can’t wait to share this adventure with you.

Huckwagons, made with love and a huck of a lot of steel! Get one today and get outside and ride!